Activity:
It remains to start at the top of the material below and set down each line, ending with the one that has "-1.204 7.070".
Given:
~~~
1.
The following is a simulated powder X-ray diffraction pattern of Lu2Al3Co. It was derived from a DFT-relaxed cell (GGA-PBE, the Materials Project), using Cu Kα (λ = 1.5418 Å).

Cell and atoms:
Cell lengths 5.4398, 5.4398, 8.4886 Å; angles 90.00, 90.00, 120.00 degrees
Space group P6_3/mmc (No. 194)
Symmetry-distinct sites (fractional):
Lu 0.3333 0.6667 0.0555 (multiplicity 4)
Al 0.1626 0.3251 0.7500 (multiplicity 6)
Co 0.0000 0.0000 0.0000 (multiplicity 2)

Largest 6 diffraction maxima, by angle, 5° ≤ 2θ ≤ 70°:
2θ (°)  I_rel  hkl
20.93  39  0 0 2
32.93  94  1 1 0
37.06  75  1 0 3
39.34  100  1 1 2
61.53  35  2 1 3
63.13  25  3 0 2

2.
The following is a simulated powder X-ray diffraction pattern of As2Ru. It was derived from a DFT-relaxed cell (GGA-PBE, the Materials Project), using Cu Kα (λ = 1.5418 Å).

Cell and atoms:
Cell lengths 5.492, 6.250, 3.015 Å; angles 90.00, 90.00, 90.00 degrees
Space group Pnnm (No. 58)
Symmetry-distinct sites (fractional):
As 0.171 0.135 0.000 (multiplicity 4)
Ru 0.000 0.500 0.000 (multiplicity 2)

Largest 6 diffraction maxima, by angle, 5° ≤ 2θ ≤ 70°:
2θ (°)  I_rel  hkl
32.98  63  1 2 0
33.92  100  1 0 1
36.93  52  1 1 1
47.06  63  2 1 1
52.05  39  3 1 0
53.46  45  0 3 1

* * * * *

Record 1
This entry pairs a crystal structure of La2C2S with its calculated PXRD pattern. Radiation: Cu Kα X-rays. Structure: a DFT-relaxed cell (GGA-PBE, Alexandria).

Principal peaks in the range 2θ from 15° to 90°, by angle:
25.18 deg, 3.536 Å, intensity 36
25.70 deg, 3.466 Å, intensity 33
26.80 deg, 3.327 Å, intensity 56
29.57 deg, 3.021 Å, intensity 100
31.61 deg, 2.831 Å, intensity 40
43.50 deg, 2.080 Å, intensity 30
44.11 deg, 2.053 Å, intensity 41
51.71 deg, 1.768 Å, intensity 21

```
10
Lattice="7.312 -2.056 0.000 7.312 2.056 0.000 -1.809 0.000 6.900" Properties=species:S:1:pos:R:3 pbc="T T T"
La 3.856 1.150 5.857
La 8.054 1.150 4.494
La 4.761 -1.150 2.407
La 8.959 -1.150 1.044
C 3.252 0.672 3.213
C 2.347 -0.672 6.663
C 10.468 0.672 0.237
C 9.563 -0.672 3.687
S 6.860 0.909 1.725
S 5.955 -0.909 5.175
```



Record 2
This entry pairs a crystal structure of Pm3PrSn6 with its calculated PXRD pattern. Radiation: Cu Kα X-rays. Structure: a DFT-relaxed cell (GGA-PBE, Alexandria).

Principal peaks in the range 2θ from 15° to 90°, by angle:
25.43 deg, 3.502 Å, intensity 31
27.23 deg, 3.275 Å, intensity 49
30.09 deg, 2.970 Å, intensity 51
30.46 deg, 2.935 Å, intensity 65
31.62 deg, 2.830 Å, intensity 100
33.65 deg, 2.663 Å, intensity 29
35.28 deg, 2.544 Å, intensity 41
38.51 deg, 2.338 Å, intensity 65

```
20
Lattice="7.385 0.000 0.000 0.000 9.738 0.000 -6.645 0.000 8.280" Properties=species:S:1:pos:R:3 pbc="T T T"
Pm 0.000 0.000 0.000
Pm -3.322 4.869 4.140
Pm -3.344 0.946 6.556
Pm -0.022 3.923 2.417
Pm 0.763 5.815 5.863
Pm 4.085 8.792 1.723
Pr 0.370 0.000 4.140
Pr 3.693 4.869 0.000
Sn -2.420 1.696 3.520
Sn -5.742 3.173 7.660
Sn -1.204 7.070 3.550
Sn -4.526 7.537 7.690
Sn 2.332 1.790 1.644
Sn -0.991 3.079 5.784
Sn 1.731 6.659 2.496
Sn -1.591 7.948 6.636
Sn 5.267 2.201 0.590
Sn 1.945 2.668 4.730
Sn 6.483 6.565 0.620
Sn 3.161 8.043 4.760
```
~~~
Here it is:
1.
The following is a simulated powder X-ray diffraction pattern of Lu2Al3Co. It was derived from a DFT-relaxed cell (GGA-PBE, the Materials Project), using Cu Kα (λ = 1.5418 Å).

Cell and atoms:
Cell lengths 5.4398, 5.4398, 8.4886 Å; angles 90.00, 90.00, 120.00 degrees
Space group P6_3/mmc (No. 194)
Symmetry-distinct sites (fractional):
Lu 0.3333 0.6667 0.0555 (multiplicity 4)
Al 0.1626 0.3251 0.7500 (multiplicity 6)
Co 0.0000 0.0000 0.0000 (multiplicity 2)

Largest 6 diffraction maxima, by angle, 5° ≤ 2θ ≤ 70°:
2θ (°)  I_rel  hkl
20.93  39  0 0 2
32.93  94  1 1 0
37.06  75  1 0 3
39.34  100  1 1 2
61.53  35  2 1 3
63.13  25  3 0 2

2.
The following is a simulated powder X-ray diffraction pattern of As2Ru. It was derived from a DFT-relaxed cell (GGA-PBE, the Materials Project), using Cu Kα (λ = 1.5418 Å).

Cell and atoms:
Cell lengths 5.492, 6.250, 3.015 Å; angles 90.00, 90.00, 90.00 degrees
Space group Pnnm (No. 58)
Symmetry-distinct sites (fractional):
As 0.171 0.135 0.000 (multiplicity 4)
Ru 0.000 0.500 0.000 (multiplicity 2)

Largest 6 diffraction maxima, by angle, 5° ≤ 2θ ≤ 70°:
2θ (°)  I_rel  hkl
32.98  63  1 2 0
33.92  100  1 0 1
36.93  52  1 1 1
47.06  63  2 1 1
52.05  39  3 1 0
53.46  45  0 3 1

* * * * *

Record 1
This entry pairs a crystal structure of La2C2S with its calculated PXRD pattern. Radiation: Cu Kα X-rays. Structure: a DFT-relaxed cell (GGA-PBE, Alexandria).

Principal peaks in the range 2θ from 15° to 90°, by angle:
25.18 deg, 3.536 Å, intensity 36
25.70 deg, 3.466 Å, intensity 33
26.80 deg, 3.327 Å, intensity 56
29.57 deg, 3.021 Å, intensity 100
31.61 deg, 2.831 Å, intensity 40
43.50 deg, 2.080 Å, intensity 30
44.11 deg, 2.053 Å, intensity 41
51.71 deg, 1.768 Å, intensity 21

```
10
Lattice="7.312 -2.056 0.000 7.312 2.056 0.000 -1.809 0.000 6.900" Properties=species:S:1:pos:R:3 pbc="T T T"
La 3.856 1.150 5.857
La 8.054 1.150 4.494
La 4.761 -1.150 2.407
La 8.959 -1.150 1.044
C 3.252 0.672 3.213
C 2.347 -0.672 6.663
C 10.468 0.672 0.237
C 9.563 -0.672 3.687
S 6.860 0.909 1.725
S 5.955 -0.909 5.175
```



Record 2
This entry pairs a crystal structure of Pm3PrSn6 with its calculated PXRD pattern. Radiation: Cu Kα X-rays. Structure: a DFT-relaxed cell (GGA-PBE, Alexandria).

Principal peaks in the range 2θ from 15° to 90°, by angle:
25.43 deg, 3.502 Å, intensity 31
27.23 deg, 3.275 Å, intensity 49
30.09 deg, 2.970 Å, intensity 51
30.46 deg, 2.935 Å, intensity 65
31.62 deg, 2.830 Å, intensity 100
33.65 deg, 2.663 Å, intensity 29
35.28 deg, 2.544 Å, intensity 41
38.51 deg, 2.338 Å, intensity 65

```
20
Lattice="7.385 0.000 0.000 0.000 9.738 0.000 -6.645 0.000 8.280" Properties=species:S:1:pos:R:3 pbc="T T T"
Pm 0.000 0.000 0.000
Pm -3.322 4.869 4.140
Pm -3.344 0.946 6.556
Pm -0.022 3.923 2.417
Pm 0.763 5.815 5.863
Pm 4.085 8.792 1.723
Pr 0.370 0.000 4.140
Pr 3.693 4.869 0.000
Sn -2.420 1.696 3.520
Sn -5.742 3.173 7.660
Sn -1.204 7.070 3.550